Sunday, February 20, 2011

You Are What You Eat - Go GMO Free!

I consider myself to be relatively well informed about food and nutrition. But until recently, I actually knew almost nothing about Genetically Modified (GM) food. I knew that it is good to avoid Genetically Modified Organisms (GMO's), and that they are potentially damaging to health. But I didn't know what foods are GM, or about the risks associated with consuming them.

In January, I received training in giving presentations about GMO's. Now that I understand the risks, I'm horrified that developing, producing, and consuming GMO's is permitted, even actively encouraged by our government.

I tell you now that this posting is long. This subject is both complex and critically important (for your health and more . . .) And I only get to the tip of the iceberg here. If you're not able to read this full posting now, please definitely read the next segment. And return later.

Where to Go to Learn More

For those of you who don't have time to read this whole posting now, I've included information about resources here.

I learned essentially everything that I know about GMO's from resources accessed through the Institute for Responsible Technology (IRT). IRT was started by Jeffrey Smith, considered the world's authority on GMO's.

Tons of information is available through IRT's website.
Excellent Books (Genetic Roulette: The Documented Health Risks of Genetically Engineered Foods, and Seeds of Deception by Jeffrey Smith)
Videos and Audios, both online and DVD/CD
Non-GMO Shopping Guides and Health Risks brochures. The Shopping Guide helps you know what to avoid when shopping, and lists manufacturers who purposely use non-GM ingrediets.

Have Hope - We CAN Do Something - Tipping Point

Before going further, I want to tell you that there is hope. What YOU Do Makes a Difference!

It is possible for us to stop the ongoing release of GMO's into the environment! It takes everyday people, like you and me, educating ourselves and making non-GMO food choices. Then the food manufacturing companies will lose their profits, and they will change to non-GMO sources for their ingredients to get their customers back.

The way we spend our food dollars has an impact. It is estimated that 5% of the U.S. population changing to non-GMO brands will get us to what is being called the Tipping Point. Hey Canadians, we're part of the equation too.

What Is Genetic Engineering?

Are you wondering what all this is about? To make a Genetically Modified Organism (GMO), genes for a desirable trait from one organism are inserted into another organism. For example:

Plants Making Pesticides. Bt toxin is a substance produced by soil bacteria. It is traditionally used as a 'natural' pesticide. Biotechnology companies isolate the bacterial gene (DNA) that codes for Bt toxin, and they put it into the DNA of corn plants, for example. When the corn grows, Bt toxin is made inside each cell of the plant. When pests, like the corn borer, eat the plant, the Bt toxin kills them.
(Apparently, Bt splits open the pest's digestive system. Is the prevalence of Bt from GMO's in our food supply contributing to the increases in digestive problems? Noone knows. Because noone is studying this.)

Herbicide Tolerance is another common type of genetic modification. Tolerance to Monsanto's Roundup is the most common. A very large percentage of the soy grown, and much of the corn is Roundup Ready. When pesticide is applied, weeds die and the plant survives.

Other Qualities. Other modifications are made to provide particular desirable qualities. Like Hawaiian papayas and zucchini with protection from viruses, or tomatoes with extra long shelf life. (Flavr Savr tomatoes are no longer being sold.)

The Role of Government

People naturally assume that if a product is available for consumption, then it must be safe. We have government agencies whose purpose is to test products for safety, right? Well, I agree with that in theory.

In today's real world, the U.S. Government's official policy is promoting biotechnology. The U.S.'s food regulating agency, the Food and Drug Administration (FDA) appears to cooperate with corporate giants (like Monsanto) to promote biotechnology and the development and sale of Genetically Engineered foods.

The corporations and the FDA consider GM foods to be "substantially equivalent" to non-GM foods. Because they are considered to be the same, no safety studies are required.

Far less safety testing is conducted for GM foods than for pharmaceutical drugs. In fact, there are still no studies required when reactions occur that are suspected to be related to consumption of GM foods.

Many FDA scientists disagreed with this policy.

This FDA policy was made against the advice of FDA's own scientists, who recommended that long term safety studies be conducted. They said there could be unexpected side effects, including allergens, toxins, new diseases, and nutritional problems.

Misplaced calculated molecules =
+++
110
Properties=species:S:1:pos:R:3 method="wB97M-V/def2-TZVPD" total_charge=+2 s2=3.769 orbital_gap_ev="7.471 / 5.977" e_homo_ha="-0.43825 / -0.43825" largest_force_ev_per_a=1.08 lumo_energy_ev="-4.455 / -5.949" multiplicity=4 de_lowest_kj_mol=0.0 e_tot_ha=-8419.30213
Re 0.20962 0.16497 0.24754
Se -1.78668 -0.98438 -0.83006
Se -5.69554 3.80421 -0.11674
P -3.38346 0.41010 -0.25674
P -4.49466 3.67641 1.59722
F 3.08685 4.22848 -0.87029
O 1.41529 1.09005 1.58845
O 0.69102 0.61002 3.64432
O 1.01040 -1.38515 -1.06050
O 0.67857 4.81306 3.86409
O 2.69209 -0.95246 0.78336
O 1.06897 6.03743 -0.48447
O 0.12932 -1.36847 1.60281
N -0.74769 2.71836 1.37029
N -0.22119 4.75445 -3.35609
N 0.68644 1.44792 -1.26870
N 2.16950 3.67006 2.55322
N 0.08515 2.39532 -3.41985
N -1.76042 3.47065 1.64920
N 2.36477 -2.53975 -2.42509
N -1.17069 1.58774 0.81080
N 0.73212 -2.36591 3.50052
N 1.04184 5.55387 1.74444
N -0.40435 3.54083 -5.28858
C -6.94683 -0.43484 1.46164
C -4.48535 1.84644 3.74533
C -5.48715 -2.29796 1.90936
C 2.79544 3.55357 1.34380
C -2.53726 1.63480 0.73161
C 2.14745 -1.84658 -1.32973
C -2.85844 6.50695 4.01720
C -3.72659 2.91027 -3.39634
C -3.16903 7.68744 3.35051
C 2.13897 2.50602 3.41422
C 1.30527 1.32479 2.88335
C -0.17369 3.59413 -3.97211
C 1.71127 -2.82107 4.48306
C -6.56091 2.97080 3.25662
C -2.90282 2.84697 1.29323
C -5.21808 2.73551 2.96560
C 1.48908 5.38236 0.46010
C -3.27701 2.27816 -2.25318
C 2.50389 4.36461 0.33684
C -3.98230 5.25803 2.29945
C 3.66940 -3.08027 -2.79586
C 2.52619 -1.65076 1.99557
C 1.29791 -2.76681 -3.40075
C 1.25343 4.69215 2.81288
C -7.16427 2.31686 4.31769
C -4.00110 1.20898 -1.72960
C -5.15639 0.75781 -2.35871
C -4.29204 6.43732 1.63276
C 3.26480 -1.60308 -0.32045
C -5.09697 1.18647 4.80233
C -4.69588 -0.43116 0.62204
C -3.88587 7.65404 2.16370
C -5.93880 0.19403 0.75110
C -3.26912 5.29196 3.49753
C -4.47076 -1.67978 1.19934
C -0.66607 -2.39199 3.93562
C -5.59994 1.39917 -3.50493
C 0.43572 2.01493 -2.26901
C -4.89210 2.47673 -4.01666
C -6.43356 1.42028 5.08825
C 1.05063 -1.77806 2.37838
C -6.72141 -1.67657 2.04049
H 3.98093 -2.64861 -3.74657
H -5.31815 -3.27071 2.35102
H -0.47017 5.58083 -3.87655
H -4.52522 0.49516 5.40762
H -3.02294 4.37673 4.02113
H -2.29402 6.53368 4.93945
H -3.51106 -2.16843 1.09086
H 4.42569 -2.85258 -2.05241
H -2.38784 2.63838 -1.74830
H 1.77425 -2.09576 5.29535
H -6.90671 0.91009 5.91691
H 2.95649 -2.65441 1.93314
H -3.43678 1.66430 3.54016
H 3.59851 -4.16152 -2.90763
H -2.85460 8.63679 3.76415
H 0.30304 6.23221 1.89245
H -5.25432 2.98568 -4.90000
H 3.16048 2.16816 3.59701
H -0.16739 4.89593 -2.34610
H -8.20431 2.50802 4.54603
H -7.51390 -2.16557 2.59153
H 0.35440 -2.40508 -3.00880
H -7.90822 0.05002 1.56369
H -0.82273 -3.28535 4.53421
H 1.70692 2.80058 4.36582
H -0.86691 -1.49969 4.52959
H 2.69347 -2.95418 4.04307
H 1.22787 -3.83408 -3.60568
H -6.50492 1.06192 -3.99131
H -6.11638 1.16446 0.30270
H -1.32002 -2.40667 3.07084
H 1.38606 -3.77793 4.88502
H 4.00855 -0.93105 -0.75480
H -0.62523 4.35974 -5.82714
+++

Noone Knows

Because no studies are conducted, we can only theorize how GMO's may contribute to human health problems. Plus, a lot (LOT!) of GM crops are used for feeding livestock. These animals produce foods like milk and eggs, or are themselves eventually consumed as meat. We do not know for certain how GMO's impact either the animals' health, or the quality and safety of the foods coming from them.

What do you think about the fact that no safety studies are required?

Preliminary Results Show Potential Health Risks

In what is probably the most in depth study conducted, rats were fed potatoes that were genetically modified to produce an insecticide. Here are preliminary results from this study. The rats developed potentially precancerous cell growth in the digestive tract, smaller brains, livers and testicles, partial atrophy of the liver and damaged immune systems. This was intended to be a long term study, but the scientist was fired, and his lab was closed, ending the study.

Other preliminary study results show potential risks of a variety of other difficulties, including allergies and reproductive difficulties.

Are GMO's Contributing to Our Health Problems?

Without results from well designed and conducted studies, we don't know. We DO know that problems with cancer, reproductive difficulties, allergies, digestive difficulties, immune system issues, and a wide variety of other health challenges have been increasing. Certainly a variety of food and lifestyle factors contribute to these trends, so this can't all be attributed to GMO's.

Since they were first released in 1996, the presence of GMO's in our food supply has been increasing. It is reasonable to assume that they may be contributing to health problems.

Antibiotic Resistance. Frequently, the process of genetically engineering plants uses genes for antibiotic resistance. (See details about this below.) Aside from any risks or benefits coming from the 'desirable' traits which are conveyed to the plants, what about the risks resulting from the proliferation of genes for antibiotic resistance? Is this contributing to the increasing problems we're having with antibiotic resistant bacteria? Again, noone knows, because this is not studied.

Scientists should study each of these risks!

What Happens When Plants are Genetically Engineered?

The following description of the genetic engineering process is greatly simplified. But it is sufficient to provide you with a general sense of what happens.

The gene (DNA) for a 'desirable' trait (isolated from a source bacteria, plant, animal, etc.) is prepared for insertion into a target plant, such as soy. (Animals and other types of organisms are also targets for genetic engineering, but for now, our focus is plants.) Usually a gene for antibiotic resistance is also added. In the most common insertion method, the new gene fragment is shot (using a gun) into a plate of plant cells. Antibiotics are dumped in. Any cells that manage to survive are antibiotic resistant, and therefore have the inserted gene. These are then cloned into full plants.

"Massive Collateral Damage"

The biotechnology industry claims that this is a technologically precise process. But they have no way of either knowing or controlling what happens. The process is random, a genetic roulette, and nothing about it is certain.

The process of creating a GMO results in massive collateral damage in the plant. There can be multiple copies of the inserted DNA fragment, existing genes within the plant can be turned off completely, or they can be turned on continuously, . . . The potential problems resulting from mutations are endless.

DNA Compared to a Book

In the book Genetic Roulette, Jeffrey Smith compares DNA to a book. The comparison makes it terrifyingly clear what can happen during genetic engineering.

The four bases that make up the genetic sequence are the letters in the book; the genes are special pages that describe characters called proteins. The common way people explain and promote genetic engineering is to say, "It is just like taking a page out of one book and putting it into another."

In reality, a book would look quite different after it had undergone genetic engineering. The inserted page (gene) may turn out to be multiple identical pages, partial pages, or small bits of text. Sections of the insert are misspelled, deleted, inverted, or scrambled. Next to the inserts, the story is often indecipherable, with random letters, new text, and pages missing. The rest of the book has also changed. There are now typos throughout, sometimes hundreds or thousands of them. Letters are switched, words are scrambled, and sentences are deleted, repeated, or reversed. Passages from one part of the book, even whole chapters (chromosomes), may be relocated or repeated elsewhere, and bits of text from entirely different books can show up from time to time. Many of the characters in the story (proteins) now act differently. Some minor roles have become prominent, leads have been demoted and some may have switched roles from hero to villain or vice versa. And, if you get bored with this story, take the original book, insert another page - even the same one - and the changes will be completely different. Or stick with the original book and over time, it might actually rearrange the inserted page.

Scientists Don't Understand How Life Works

Living beings and the functions of their bodies are extraordinarily complex. Scientists understand only a minute percentage of the events that occur.

Each naturally occurring organism on the planet developed over time, with every aspect of its functioning finely tuned. Functions are turned on and off as needed, all carefully regulated by the organism's brain, nervous system, or whatever other guiding force controls everything. It's truly miraculous. And scientists just don't understand it all, it's far too complex.

Biotechnology companies shoot DNA fragments into the genome and expect that the organism can continue to function normally, with the only alteration being making one new and desirable protein? Dream on.

If you scramble a book in the manner described above, it can no longer be read properly. Well, that's what potentially happens to the DNA, to the organism as a whole each time a plant or animal is subjected to genetic engineering. It is unreasonable to expect these organisms to consistently function normally.

One DVD that I ordered from the Institute for Responsible Technology shows deformed and suffering animals (like pigs) that were genetically engineered. It's horrendous. (The video referred to is Unnatural Selection, part of the GMO Trilogy.)

One day, will human beings suffer these sorts of horrors? Because of some 'mistake' inadvertently created by the biotech industry?

What Foods are Genetically Engineered?

Soy, Corn, Cottonseed, Canola. The main crops are Soy, Corn, Cotton (cottonseed for oil), and Canola. All are in vegetable oil. Most packaged foods contain soy and corn in multiple forms (many of which are hidden under non-obvious names). Sugar from Sugar Beets is commonly GM. As are most Papaya from Hawaii, some Zucchini and Crookneck Squash, and Quest Tobacco. (GM Tomatoes and Potatoes were both released, but are no longer sold.)

A lot of GM crops are fed to livestock. Corn and soy in particular. GM free meat, dairy, eggs, and farmed fish can therefore be difficult to find. Plus, GM Alfalfa was very recently approved by the Obama administration. This will have a huge impact on farmers, livestock animals, and the foods coming from them.

There has also been talk of approving GM Salmon. I don't think it's smart to release GMO's into the ocean. Do you?

How Do You Avoid GMO's

* Eat organic, if you can. Organic foods are not supposed to be GM or contain GM ingredients. Though there are not yet standardized guidelines, you're still safer eating organic.
* Read labels.
* Avoid Soy, Corn, Cottonseed and Canola, including hidden forms of soy and corn, and 'vegetable oil'. If sugar does not specify that it is just cane sugar, then it probably contains sugar beet, which may be GM.
The other crops are minor, though still worthwhile avoiding. Hawaiian papaya, zucchini, and crookneck squash
* When eating in restaurants ask if their food is GMO-free. Avoid obvious soy and corn. Ask what kind of oil the food is cooked in. 'Vegetable oil' will almost certainly be GM. Request olive oil, coconut oil, peanut oil, or no oil.

GMO Presentations

You, your family, your friends - everyone - can learn how to protect yourselves from the health imbalances that GM foods may be contributing to.

I give presentations near where I live in the British Columbia Okanangan Valley, and in Washington's Olympia/Seattle area. If you are interested in attending an event in these areas, please contact me for information.

I will be in the Olympia area in late March and early April. I am available to give presentations during that time.

Are you interested in organizing a presentation about Genetically Modified Foods? At this time, I am speaking in locations that are within an hour or two of where I live in Penticton, British Columbia, and of Olympia, Washington. However, I may extend my reach to more distant locations in the future.

There are trained presenters throughout North America, and even the world. If you are interested in attending or organizing a GMO presentation, contact the Institute for Responsible Technology.
Send an e-mail requesting information about events and presenters.

Where to Go to Learn More

I learned essentially everything that I know about GMO's from resources accessed through the Institute for Responsible Technology.
IRT was started by Jeffrey Smith, considered the world's authority on GMO's.

Tons of information is available through IRT's website.
Excellent Books (Genetic Roulette: The Documented Health Risks of Genetically Engineered Foods, and Seeds of Deception by Jeffrey Smith)
Videos and Audios, both online and DVD/CD
Non-GMO Shopping Guides and Health Risks brochures. The Shopping Guide helps you know what to avoid when shopping, and lists manufacturers who purposely use non-GM ingrediets.

You Are What You Eat! Choose Real Food for Health!


Sandra Lynn Lee
Certified Practitioner - The Emotion Code/The Body Code
Certified Healing Codes Practitioner
Miracle Inspirations
Everything in this newsletter is the opinion of the author and is provided for informational and educational purposes only. When information is drawn from outside sources, both credit and access to the source are given, when available.
Copyright 2011 Miracle Inspirations. All rights reserved.